'''
Entry 1:
This record from the Materials Project database describes crystalline Na14Mg6Si5Ge2S7O48 at its relaxed geometry. The functional is PBE. Values from VASP.

The structure in Quantum ESPRESSO input format:
```
&SYSTEM
  ibrav = 0, nat = 246, ntyp = 6
/
ATOMIC_SPECIES
Na 22.99 Na.upf
Mg 24.30 Mg.upf
Si 28.09 Si.upf
Ge 72.64 Ge.upf
S 32.06 S.upf
O 16.00 O.upf
ATOMIC_POSITIONS angstrom
Na 0.000 0.000 0.000
Na 9.106 10.266 7.085
Na 0.098 10.750 15.132
Na 0.184 5.374 7.445
Na 0.452 0.282 15.196
Na 1.507 2.676 16.695
Na 1.569 2.624 5.699
Na 1.617 7.824 20.266
Na 1.645 12.916 1.915
Na 1.647 7.881 9.267
Na 1.783 13.365 12.984
Na 2.748 0.137 3.793
Na 3.004 5.406 18.863
Na 3.039 10.453 11.040
Na 3.144 10.187 18.822
Na 3.205 0.363 18.303
Na 3.308 10.604 3.956
Na 3.416 5.645 11.109
Na 3.458 5.120 3.696
Na 4.460 13.418 0.088
Na 4.517 12.909 14.862
Na 4.581 2.877 15.112
Na 4.711 7.992 7.118
Na 4.731 2.434 7.677
Na 4.951 13.225 7.697
Na 4.935 2.688 22.000
Na 5.101 7.852 14.964
Na 6.231 5.126 12.965
Na 6.215 0.094 9.227
Na 6.255 5.443 1.862
Na 6.301 10.352 16.846
Na 6.291 0.291 20.368
Na 6.382 10.388 5.564
Na 7.377 7.957 4.105
Na 7.720 13.151 18.583
Na 7.745 7.573 11.071
Na 7.746 2.524 18.229
Na 7.818 3.053 3.776
Na 7.933 12.670 4.039
Na 7.933 7.754 18.562
Na 8.961 0.051 7.395
Na 9.037 4.952 15.087
Mg 1.507 13.031 5.396
Mg 1.521 2.734 2.175
Mg 1.632 13.074 20.670
Mg 1.655 13.146 16.439
Mg 1.641 7.937 6.018
Mg 1.676 13.193 9.656
Mg 1.636 2.621 13.492
Mg 1.730 7.860 17.248
Mg 1.796 7.936 12.544
Mg 6.046 0.228 1.473
Mg 6.157 0.125 6.197
Mg 6.239 10.343 2.473
Mg 6.240 10.441 13.291
Mg 6.208 0.212 17.050
Mg 6.246 5.317 9.646
Mg 6.312 5.385 5.375
Mg 6.321 5.374 20.728
Mg 6.410 5.275 16.507
Si 0.290 15.352 18.570
Si 0.362 10.785 18.502
Si 0.420 10.171 3.778
Si 2.898 0.426 0.168
Si 3.033 15.321 7.486
Si 3.457 0.091 14.947
Si 4.397 7.813 3.934
Si 4.897 8.171 11.196
Si 4.942 7.578 18.521
Si 7.476 2.484 14.831
Si 7.517 3.034 7.480
Si 7.636 7.626 7.606
Si 7.864 2.781 0.309
Si 8.002 12.941 7.597
Si 9.002 5.186 18.586
Ge 1.280 2.494 20.024
Ge 1.447 2.504 8.902
Ge 1.919 7.894 1.772
Ge 5.929 0.266 12.801
Ge 6.292 10.342 8.909
Ge 6.444 10.268 19.955
S 0.183 0.411 11.222
S 0.403 5.645 3.806
S 0.414 4.933 11.210
S 2.918 5.202 0.301
S 3.018 5.648 14.781
S 3.064 10.193 14.808
S 3.090 10.750 7.611
S 3.462 5.238 7.578
S 3.629 10.347 0.192
S 4.267 2.602 11.209
S 4.442 12.988 18.566
S 4.807 3.013 18.530
S 4.805 2.434 3.858
S 4.908 13.384 3.788
S 4.920 12.835 11.227
S 7.468 12.598 0.180
S 7.519 13.386 14.737
S 7.673 8.179 0.219
S 8.141 7.931 14.759
S 8.774 0.114 3.816
S 8.919 10.484 11.218
O 0.039 2.643 14.641
O 0.092 8.031 0.216
O 0.199 7.857 7.476
O 0.180 3.017 7.766
O 0.395 11.699 17.131
O 0.530 14.473 19.897
O 0.478 1.193 9.900
O 0.634 9.283 5.098
O 0.645 9.190 11.232
O 0.685 14.379 3.795
O 0.615 1.333 3.868
O 0.689 1.175 12.357
O 0.720 6.507 2.610
O 0.797 9.235 18.333
O 0.852 11.591 11.103
O 0.862 6.277 5.054
O 0.884 4.231 12.398
O 0.956 14.600 11.149
O 0.961 6.444 18.375
O 1.008 14.779 17.231
O 0.953 1.365 18.651
O 0.983 6.329 11.163
O 1.004 3.880 18.906
O 1.006 4.269 9.952
O 1.080 4.312 3.738
O 1.188 11.622 3.798
O 1.217 11.459 19.680
O 1.211 9.346 2.482
O 2.199 14.817 6.164
O 2.186 6.588 0.351
O 2.200 1.379 7.750
O 2.309 14.423 0.037
O 2.342 1.116 1.521
O 2.422 11.537 14.896
O 2.414 4.613 21.085
O 2.424 4.273 14.729
O 2.445 6.343 15.939
O 2.538 9.375 7.564
O 2.543 6.406 7.483
O 2.600 14.252 14.917
O 2.562 4.410 1.498
O 2.599 9.566 13.538
O 2.563 1.548 20.878
O 2.636 11.390 8.865
O 2.609 1.465 14.773
O 2.630 3.972 7.641
O 2.714 11.543 6.421
O 2.709 6.397 13.518
O 2.732 9.348 15.960
O 2.780 9.104 0.207
O 2.795 11.571 0.121
O 2.882 14.333 8.734
O 3.250 8.100 11.123
O 3.312 2.653 3.842
O 3.316 2.909 18.461
O 3.366 7.936 18.349
O 3.423 12.893 11.228
O 3.424 13.268 3.868
O 3.398 7.450 2.607
O 3.400 2.679 12.388
O 3.432 7.988 5.219
O 3.454 2.499 9.935
O 3.594 12.830 17.349
O 3.622 13.160 19.779
O 4.260 5.399 8.816
O 4.325 5.106 6.387
O 4.378 5.387 0.280
'''

Reproduce every line further above that contains the word "record".

This record from the Materials Project database describes crystalline Na14Mg6Si5Ge2S7O48 at its relaxed geometry. The functional is PBE. Values from VASP.